To do
Work out how many lines underneath have the word "size" in them; a number is enough.
Excerpt
┌──
BaMg2Al4, optimized geometry, DFT PBE-GGA; ΔE_f = -9 meV per atom; size of the total moment = 0.000 μB/atom; DOS at the Fermi energy = 0.600 states/eV per atom
1.0
-1.0619 3.3189 -2.7410
-4.4460 -0.4781 1.1435
3.8277 4.3709 7.3950
Mg Al Ba
2 4 1
Direct
0.8172 0.8172 0.6345
0.1828 0.1828 0.3655
0.9222 0.4222 0.8445
0.3428 0.3428 0.6855
0.6572 0.6572 0.3145
0.0778 0.5778 0.1555
0.5000 0.0000 0.0000

~~~~~

# 1
Entry from Alexandria: a relaxed LiSb3Pd6 crystal (GGA-PBE).

Results
Calculated volume ... 359 Å³ per cell
Raw formation energy ... -0.4034 eV per atom
SG ... P2_1/m (11)
N(E_F) ... 7.699 states/eV per cell

Cell: 4.024 11.048 11.885 Å, 137.20 90.00 90.00°
Positions (direct):
Li1 0.750 0.022 0.610
Li2 0.250 0.978 0.390
Sb1 0.750 0.478 0.860
Sb2 0.250 0.522 0.140
Sb3 0.750 0.739 0.570
Sb4 0.250 0.261 0.430
Sb5 0.750 0.266 0.147
Sb6 0.250 0.734 0.853
Pd1 0.750 0.527 0.615
Pd2 0.250 0.473 0.385
Pd3 0.750 0.963 0.188
Pd4 0.250 0.037 0.812
Pd5 0.750 0.296 0.944
Pd6 0.250 0.704 0.056
Pd7 0.750 0.763 0.263
Pd8 0.250 0.237 0.737
Pd9 0.750 0.205 0.537
Pd10 0.250 0.795 0.463
Pd11 0.750 0.910 0.879
Pd12 0.250 0.090 0.121



# 2
Entry from Alexandria: a relaxed LiSb3Pd5 crystal (GGA-PBE).

Results
Polymorph energy (0 for the lowest one) ... 93 meV per atom
Calculated volume ... 344 Å³ per cell
Raw formation energy ... -0.3379 eV per atom
SG ... I4/mcm (140)
N(E_F) ... 5.234 states/eV per cell

Cell: 6.732 6.732 8.967 Å, 112.05 112.05 90.00°
Positions (direct):
Li1 0.750 0.250 0.500
Li2 0.250 0.750 0.500
Sb1 0.644 0.144 0.000
Sb2 0.356 0.856 0.000
Sb3 0.856 0.644 0.000
Sb4 0.144 0.356 0.000
Sb5 0.250 0.250 0.500
Sb6 0.750 0.750 0.500
Pd1 0.089 0.589 0.684
Pd2 0.596 0.096 0.684
Pd3 0.096 0.089 0.684
Pd4 0.589 0.596 0.684
Pd5 0.911 0.411 0.316
Pd6 0.404 0.904 0.316
Pd7 0.904 0.911 0.316
Pd8 0.411 0.404 0.316
Pd9 0.500 0.500 0.000
Pd10 0.000 0.000 0.000



# 3
Entry from Alexandria: a relaxed LiSbPd3 crystal (GGA-PBE).

Results
Polymorph energy (0 for the lowest one) ... 29 meV per atom
Calculated volume ... 321 Å³ per cell
Raw formation energy ... -0.5093 eV per atom
SG ... P2_1/c (14)
N(E_F) ... 6.430 states/eV per cell

Cell: 4.994 7.616 9.145 Å, 112.60 90.00 90.00°
Positions (direct):
Li1 0.840 0.655 0.122
Li2 0.160 0.345 0.878
Li3 0.340 0.345 0.378
Li4 0.660 0.655 0.622
Sb1 0.162 0.757 0.485
Sb2 0.838 0.243 0.515
Sb3 0.662 0.243 0.015
Sb4 0.338 0.757 0.985
Pd1 0.150 0.941 0.286
Pd2 0.850 0.059 0.714
Pd3 0.650 0.059 0.214
Pd4 0.350 0.941 0.786
Pd5 0.657 0.835 0.411
Pd6 0.343 0.165 0.589
Pd7 0.157 0.165 0.089
Pd8 0.843 0.835 0.911
Pd9 0.148 0.549 0.674
Pd10 0.852 0.451 0.326
Pd11 0.648 0.451 0.826
Pd12 0.352 0.549 0.174



# 4
Entry from Alexandria: a relaxed Li3SbPd6 crystal (GGA-PBE).

Results
Polymorph energy (0 for the lowest one) ... 78 meV per atom
Calculated volume ... 324 Å³ per cell
Raw formation energy ... -0.3355 eV per atom
SG ... R-3m (166)
N(E_F) ... 12.597 states/eV per cell

Cell: 6.983 6.983 6.983 Å, 99.75 99.75 99.75°
Positions (direct):
Li1 0.572 0.854 0.854
Li2 0.854 0.854 0.572
Li3 0.146 0.428 0.146
Li4 0.854 0.572 0.854
Li5 0.146 0.146 0.428
Li6 0.428 0.146 0.146
Sb1 0.000 0.000 0.000
Sb2 0.500 0.500 0.500
Pd1 0.263 0.737 0.000
Pd2 0.263 0.000 0.737
Pd3 0.403 0.826 0.403
Pd4 0.000 0.737 0.263
Pd5 0.403 0.403 0.826
Pd6 0.174 0.597 0.597
Pd7 0.826 0.403 0.403
Pd8 0.597 0.597 0.174
Pd9 0.000 0.263 0.737
Pd10 0.597 0.174 0.597
Pd11 0.737 0.000 0.263
Pd12 0.737 0.263 0.000



# 5
Entry from Alexandria: a relaxed Li2SbPd crystal (GGA-PBE).

Results
Calculated volume ... 149 Å³ per cell
Raw formation energy ... -0.3050 eV per atom
SG ... I-42d (122)
N(E_F) ... 4.397 states/eV per cell

Cell: 7.515 7.515 5.931 Å, 50.69 50.69 90.00°
Positions (direct):
Sb1 0.000 0.000 0.000
Sb2 0.750 0.250 0.500
Pd1 0.500 0.500 0.000
Pd2 0.250 0.750 0.500
Li1 0.594 0.125 0.250
Li2 0.156 0.625 0.250
Li3 0.375 0.406 0.750
Li4 0.875 0.844 0.750



# 6
Entry from Alexandria: a relaxed Li3Sb2Pd crystal (GGA-PBE).

Results
└──
Solution
1